Entries
/*
{
  "formula": "C12H25CeINO3P2",
  "method": "wB97M-V/def2-TZVPD",
  "species": ["C", "I", "H", "H", "H", "Ce", "P", "C", "C", "H", "H", "H", "H", "H", "H", "C", "H", "H", "H", "P", "C", "C", "H", "H", "H", "C", "H", "H", "H", "H", "H", "H", "C", "O", "O", "C", "C", "C", "C", "O", "N", "H", "H", "H", "H"],
  "positions_angstrom": [[0.985, -4.230, -2.168], [0.853, -2.007, -2.500], [0.491, -4.676, -3.042], [0.463, -4.460, -1.238], [2.035, -4.548, -2.132], [-0.066, -0.101, -0.139], [-2.638, -1.481, -0.057], [-2.590, -2.502, 1.471], [-4.090, -0.434, 0.233], [-4.974, -1.051, 0.444], [-4.190, -3.101, -0.999], [-4.289, 0.170, -0.662], [-3.391, -2.120, -2.266], [-2.382, -1.851, 2.328], [-3.894, 0.240, 1.076], [-3.233, -2.659, -1.321], [-3.556, -2.999, 1.599], [-2.485, -3.446, -1.496], [-1.796, -3.253, 1.400], [2.116, 1.169, -1.679], [3.586, 0.915, -0.603], [2.801, 0.547, -3.264], [1.442, 3.188, -2.781], [3.196, 3.203, -2.420], [2.009, 3.517, -1.104], [2.201, 2.950, -2.022], [2.055, 0.683, -4.056], [3.714, 1.100, -3.530], [4.463, 1.313, -1.128], [3.723, -0.153, -0.404], [3.021, -0.527, -3.197], [3.439, 1.446, 0.345], [1.057, -1.074, 1.565], [1.634, -1.353, 2.545], [-1.626, 0.381, 2.341], [-0.908, 1.402, 2.431], [-0.880, 2.440, 3.536], [0.291, 3.329, 3.163], [0.902, 2.714, 1.910], [1.996, 2.955, 1.408], [0.051, 1.686, 1.485], [-1.816, 3.019, 3.537], [-0.714, 1.952, 4.506], [-0.068, 4.342, 2.945], [1.063, 3.370, 3.940]],
  "spin_multiplicity": 2,
  "total_charge": 2,
  "gap_ev": [7.25, 7.29],
  "e_above_lowest_ev": 0.0000
}

***

{
  "formula": "C12H25CoN2O7P2S3",
  "method": "wB97M-V/def2-TZVPD",
  "species": ["Co", "C", "C", "S", "C", "C", "S", "C", "C", "S", "H", "H", "H", "H", "H", "H", "H", "H", "H", "H", "H", "H", "C", "C", "O", "P", "O", "O", "O", "P", "O", "O", "O", "H", "H", "H", "H", "H", "H", "H", "C", "C", "N", "C", "C", "N", "H", "H", "H", "H", "H", "H"],
  "positions_angstrom": [[0.535, -0.857, -0.479], [-1.026, -0.213, -3.497], [-0.312, -1.544, -3.646], [1.225, -1.724, -2.703], [2.209, -0.305, -3.283], [3.138, 0.217, -2.198], [2.369, 0.517, -0.570], [0.252, 2.497, -0.959], [-0.900, 2.084, -1.778], [-1.300, 0.266, -1.754], [-2.008, -0.288, -3.960], [-0.488, 0.595, -3.985], [-0.093, -1.723, -4.698], [-0.934, -2.366, -3.289], [1.523, 0.474, -3.611], [2.790, -0.644, -4.138], [3.564, 1.163, -2.524], [3.966, -0.473, -2.037], [0.807, 3.384, -1.225], [0.101, 1.436, 0.818], [-0.705, 2.350, -2.815], [-1.828, 2.566, -1.467], [-3.207, 2.686, 2.955], [-2.284, 2.102, 1.890], [-2.900, 1.915, 0.631], [-1.594, 0.444, 2.318], [-1.266, 0.345, 3.846], [-2.774, -0.566, 2.127], [-0.438, 0.140, 1.407], [-0.917, 3.292, 1.583], [-0.064, 3.065, 2.895], [-1.196, 4.621, 1.093], [0.106, 2.420, 0.500], [-4.081, 2.042, 3.080], [-3.545, 3.674, 2.645], [-2.707, 2.773, 3.919], [-3.858, 1.847, 0.733], [-0.427, 0.718, 4.166], [-3.205, -0.918, 2.925], [0.519, 3.804, 3.150], [3.200, -3.144, -0.186], [1.986, -3.271, 0.662], [0.869, -2.555, 0.594], [0.016, -3.046, 1.575], [0.617, -4.067, 2.223], [1.858, -4.186, 1.637], [3.369, -2.098, -0.435], [3.085, -3.713, -1.110], [4.077, -3.518, 0.341], [-0.976, -2.654, 1.716], [0.287, -4.704, 3.025], [2.563, -4.858, 1.892]],
  "spin_multiplicity": 5,
  "total_charge": 2,
  "gap_ev": [8.31, 7.55]
}

***

{
  "formula": "C12H25LuN2O2P2S",
  "method": "wB97M-V/def2-TZVPD",
  "species": ["C", "C", "N", "C", "C", "C", "C", "P", "Lu", "P", "C", "O", "O", "H", "H", "H", "C", "C", "H", "H", "H", "H", "C", "C", "H", "H", "H", "H", "H", "H", "H", "H", "H", "H", "H", "H", "H", "H", "H", "H", "H", "H", "S", "C", "N"],
*/
Assignment
Your job: work out how many lines above have the word "def2-TZVPD" in them; a number is enough.
Worked solution
3